The safest way to increase the penis by a few centimeters is surgery. But not every man is ready to resort to radical measures to become the owner of an impressive penis. Therefore, the question arises, how to enlarge the penis without surgery?
There are many ways. Some work and some don't. Some provide temporary results, while others provide long-term results. But in any case, to achieve penis growth, you will have to spend a lot of time, be patient and stubbornly move towards your goal.
Stretching of the member is performed by different methods. You can resort to exercises for help or use specialized devices - a vacuum pump, extenders. The principle of such methods is the same, they differ only in execution and time to achieve results.
Someone pasted records of crystals at this point =
+++
Simulated PXRD pattern of RbNa2TcCl8 for Cu Kα, 1.54184 Å, from the GGA-PBE geometry in Alexandria.

Structure:
```
data_RbNa2TcCl8
_chemical_formula_sum 'Rb1 Na2 Tc1 Cl8'
_space_group_name_H-M_alt 'P -1'
_space_group_IT_number 2
_space_group_name_Hall '-P 1'
_cell_length_a 5.885
_cell_length_b 6.391
_cell_length_c 9.183
_cell_angle_alpha 90.04
_cell_angle_beta 90.18
_cell_angle_gamma 92.93
loop_
_atom_site_label
_atom_site_type_symbol
_atom_site_fract_x
_atom_site_fract_y
_atom_site_fract_z
_atom_site_occupancy
Rb1 Rb 0.000 0.000 0.000 1
Na1 Na 0.499 0.500 0.733 1
Tc1 Tc 0.000 0.000 0.500 1
Cl1 Cl 0.229 0.861 0.316 1
Cl2 Cl 0.231 0.316 0.499 1
Cl3 Cl 0.231 0.863 0.684 1
Cl4 Cl 0.251 0.491 0.000 1
```

Top 8 peaks for 2θ from 10° to 90°, sorted by position:
two_theta  d (Å)  I_rel  (hkl)
13.9  6.383  43  0 1 0
15.1  5.877  59  1 0 0
19.3  4.591  43  0 0 2
20.0  4.438  46  1 -1 0
21.1  4.217  81  1 1 0
24.6  3.618  72  1 0 2
28.0  3.191  100  1 -1 2
38.4  2.342  73  2 -1 2

=====

Structure and theoretical powder X-ray diffraction pattern of Be2FeB (a crystal structure in Alexandria, relaxed with PBE; Cu Kα X-rays).

Top 12 peaks for 2θ = 15–90°, in order of rising 2θ:
- hkl 0 2 0, d = 4.675 Å, intensity 82.3
- hkl 1 1 0, d = 3.233 Å, intensity 49.9
- hkl 1 1 -1, d = 3.137 Å, intensity 100.0
- hkl 0 2 1, d = 2.741 Å, intensity 98.7
- hkl 1 3 0, d = 2.311 Å, intensity 97.0
- hkl 1 1 1, d = 1.945 Å, intensity 38.6
- hkl 0 4 1, d = 1.923 Å, intensity 46.3
- hkl 1 1 -2, d = 1.882 Å, intensity 23.9
- hkl 2 2 -1, d = 1.804 Å, intensity 48.8
- hkl 0 0 2, d = 1.692 Å, intensity 19.5
- hkl 1 3 -2, d = 1.636 Å, intensity 30.4
- hkl 1 5 -1, d = 1.630 Å, intensity 35.7

Cell and atoms:
Unit cell a=3.9135 b=9.3498 c=3.8441 alpha=90.00 beta=118.31 gamma=90.00
Space group C2/c (No. 15)
Symmetry-distinct sites (fractional):
Be: 0.1854 0.0831 0.1020 [8 per cell]
Fe: 0.0000 0.3369 0.2500 [4 per cell]
B: 0.0000 0.2489 0.7500 [4 per cell]


Structure and theoretical powder X-ray diffraction pattern of Tm2BeFe5B2 (a crystal structure in Alexandria, relaxed with PBE; Cu Kα X-rays).

Top 12 peaks for 2θ = 15–90°, in order of rising 2θ:
- hkl 2 0 0, d = 4.377 Å, intensity 31.2
- hkl 2 1 0, d = 3.915 Å, intensity 53.3
- hkl 2 0 1, d = 2.541 Å, intensity 32.9
- hkl 2 1 1, d = 2.440 Å, intensity 100.0
- hkl 2 2 1, d = 2.197 Å, intensity 18.1
- hkl 4 1 0, d = 2.123 Å, intensity 74.0
- hkl 3 1 1, d = 2.071 Å, intensity 56.9
- hkl 3 3 0, d = 2.063 Å, intensity 33.7
- hkl 3 2 1, d = 1.916 Å, intensity 15.9
- hkl 0 0 2, d = 1.560 Å, intensity 14.7
- hkl 4 1 2, d = 1.257 Å, intensity 26.0
- hkl 5 4 1, d = 1.252 Å, intensity 16.7

Cell and atoms:
Unit cell a=8.7541 b=8.7541 c=3.1199 alpha=90.00 beta=90.00 gamma=90.00
Space group P4/mbm (No. 127)
Symmetry-distinct sites (fractional):
Tm: 0.1752 0.3248 0.0000 [4 per cell]
Be: 0.0000 0.0000 0.0000 [2 per cell]
Fe: 0.0000 0.5000 0.5000 [2 per cell]
Fe: 0.0657 0.7875 0.5000 [8 per cell]
B: 0.1217 0.6217 0.0000 [4 per cell]
+++
So, how do you enlarge your penis yourself? Consider penis stretching methods, penis massage, hanging weights, use of extenders.
penis stretching methods
It is no secret that the size of the penis affects the quality of sexual life. Despite the fact that there is no clear framework for the normality of size, many men strive for the ideal, in particular, the bigger the better. Various methods are used to fulfill the dream, even the most unusual options such as apitherapy (bee stings) and rolling the penis with a stick.
But such methods are not popular due to the fact that many men are afraid to use them. Yes, there are few reviews. However, there is information on specialized forums that a bee sting helps to increase the volume of the reproductive organ.
Consider more traditional methods of penis enlargement that have a lot of positive feedback:
- Jelq is a set of exercises performed with your own hands. They are focused on stretching the penis in length, increasing its thickness.
- Hanging weights is an ancient method of penis enlargement that has many supporters.
- Massage. This option is aimed at thickening and lengthening the phallus.
- The use of extenders makes it possible to increase the length of the penis.
- The vacuum pump helps to increase the girth, it has little effect on the length.
- Specialized products - ointments, creams, gels and sprays.
- Nozzles on the genitals - give a temporary effect. It is best to use them to diversify your intimate life.
The best way is Jelqing. It has many advantages: performance at home, no special skills required, no need to invest financial resources. Disadvantages include injuries (especially for beginners), it takes a lot of time to train.
Before using the Jelqing technique, the penis is heated - it increases blood circulation, makes tissues more elastic, prone to stretching.
Massage as a way of penis enlargement

It is easy to enlarge the penis with massage, the main thing is to understand what actions should be performed. The purpose of the massage is to lengthen the penis. It cannot be said that there will be an impressive increase in the penis, but the reviews of many men speak positively about the method.
Massage is a stretching movement with the hands. But before the manipulation, it is necessary to warm up the genitals. The easiest way is to do it with a soft cloth. Soak in hot water, squeeze, wrap around the penis for 3-4 minutes. Then the manipulation is repeated again.
After warming up the reproductive organ, you can proceed directly with stretching movements. You need to do the following:
- Gently grasp the head of the penis, pull upwards. One should feel the tension within the organs;
- Let go. Rest for 5 seconds. Repeat 15-20 times;
- Then you need to pull the organ down, right and left;
- After grasping the body of the organ with the whole palm and squeezing - according to the principle of inflating a pear. Such actions increase arterial blood flow, which contributes to the expansion of cavernous bodies;
- The time of the entire training is 20-25 minutes;
NUPs recommend using a soda-based bath before training.
Sodium bicarbonate has an irritating effect, increases blood circulation, which increases the effectiveness of the exercise.
The old-fashioned zoom method: hanging weights

The method works, but there are pitfalls. Hanging weights is perhaps the oldest method of penis enlargement. It works, as confirmed by men's reviews, but the result has to wait a few years. Start training with light loads, gradually increase the load.
If you hang something heavy on an unprepared organ, then instead of increasing the length of the penis, serious injury will occur, for example, rupture of the cavernous bodies. And this is fraught with negative consequences - pain, erectile dysfunction.
Before you hang anything on the member, it must be warmed up. A rope is attached above the head, it is attached with adhesive tape. The rope can be replaced with a bandage or rope. A hook is attached to the end - a load is attached to it, for example:
- Bottle filled with water.
- Book.
- A little trick.
- Heavy vegetables etc.
If the object cannot be attached to the hook, then it is placed in a bag, tied and then attached to the bandage. It is necessary to slowly lower the structure, it is impossible to suddenly throw it - this is a greeting for painful sensations. The duration of the manipulation the first few times is 10-15 minutes, after which the training time increases, the weight of the load increases.
You must add weight gradually. You can also complicate the exercise itself. If at first it is enough to stand, then after that you can walk with a load or make swinging movements (make circular movements with your hips).
In case of reddening of the penis, numbness of the head, the lesson is immediately interrupted, the penis is massaged.
Stretching exercises to lengthen the penis

There are many exercises that can be done at home that help increase the length of the penis. They are also effective for slow erection, because they normalize blood circulation.
The "incline stretch" exercise. It is necessary to grasp the base of the head with your fingers, pull the penis out of the pubis, and fix it in this position for 15 seconds. After the organ is pulled in different directions, tension must be maintained in each direction. The session continues until discomfort appears. When the penis gets "tired", it is necessary to stop.
Practice shows that every time it turns out to pull the genital organ further and further, while fixing it for a long time. The load must be added gradually, because the injury will delay the onset of the desired result.
Other options for penis enlargement at home:
- Stretching in a circle. Achieve 80% erection. Less is not effective. Grasp the bottom of the head with your fingers, pull it forward - freeze for 5 seconds. Then you need to make circular movements clockwise - about 2 minutes, after - counterclockwise. For the first exercise, 25 rotations are enough. At the end of training, it is necessary to do a massage - it normalizes blood circulation. Such activity helps to increase the volume of the cavernous bodies, which contributes to the enlargement of the penis at rest and during erection;
- Sitting stretches. Training is performed on an upright member - 40-50%. They pull the penis towards the anus and then gently sit on it. This lesson reveals the pressure on the corpora cavernosa, which helps increase the reproductive organ in two directions - length and thickness. The first time you can sit for 5 minutes. The ideal time is 20-30 minutes. Some men perform such an exercise on their side, while others even fall asleep peacefully during the training;
- The V-stretch is done on a relaxed penis. With one hand they hold the base of the head, with the other they grasp the base of the trunk on the pubis - move it towards the head, then back. In order for the exercise to lead to the desired result, the head must be held firmly enough. At first it will be very uncomfortable, even painful.
In addition to the described methods, you can use an extender. The device works in the same way as the exercises. Regular use leads to an increase in the length of the penis. If you want an immediate result, this is where enlargement nozzles (sold in adult stores) will help.